-- Work order --
It remains to reproduce everything below unchanged.
-- File --
********
This record from Materials Project describes crystalline BMo2 at its relaxed geometry. The functional is r²SCAN. Values from VASP.

Quantum ESPRESSO input file:
```
&SYSTEM
  ibrav = 0, nat = 6, ntyp = 2
/
ATOMIC_SPECIES
B 10.81 B.upf
Mo 95.94 Mo.upf
ATOMIC_POSITIONS crystal
B 0.750 0.750 0.000
B 0.250 0.250 0.000
Mo 0.830 0.670 0.500
Mo 0.330 0.830 0.160
Mo 0.170 0.330 0.500
Mo 0.670 0.170 0.840
CELL_PARAMETERS angstrom
4.417 0.004 -1.228
-2.550 3.606 -1.228
-0.002 -0.004 4.584
```

Values from the calculation:
calculated formation energy	-0.322	eV per atom
E_tot	-120.91	eV/cell


This record from Materials Project describes crystalline BMo at its relaxed geometry. The functional is r²SCAN. Values from VASP.

Quantum ESPRESSO input file:
```
&SYSTEM
  ibrav = 0, nat = 8, ntyp = 2
/
ATOMIC_SPECIES
B 10.81 B.upf
Mo 95.94 Mo.upf
ATOMIC_POSITIONS crystal
B 0.470 0.720 0.439
B 0.220 0.970 0.939
B 0.530 0.280 0.561
B 0.780 0.030 0.061
Mo 0.322 0.572 0.144
Mo 0.072 0.822 0.644
Mo 0.678 0.428 0.856
Mo 0.928 0.178 0.356
CELL_PARAMETERS angstrom
3.067 0.000 -0.554
-0.100 3.065 -0.554
0.000 0.000 8.776
```

Values from the calculation:
E above lowest polymorph	0	meV/atom
calculated formation energy	-0.524	eV per atom
E_tot	-137.87	eV/cell


This record from Materials Project describes crystalline BMo at its relaxed geometry. The functional is r²SCAN. Values from VASP.

Quantum ESPRESSO input file:
```
&SYSTEM
  ibrav = 0, nat = 4, ntyp = 2
/
ATOMIC_SPECIES
B 10.81 B.upf
Mo 95.94 Mo.upf
ATOMIC_POSITIONS crystal
B 0.250 0.440 0.881
B 0.750 0.560 0.119
Mo 0.250 0.145 0.289
Mo 0.750 0.855 0.711
CELL_PARAMETERS angstrom
0.000 0.000 3.083
3.146 0.000 0.000
-1.573 4.253 0.000
```

Values from the calculation:
E above lowest polymorph	11	meV/atom
calculated formation energy	-0.513	eV per atom
E_tot	-68.89	eV/cell


This record from Materials Project describes crystalline Nb2B2Mo at its relaxed geometry. The functional is r²SCAN. Values from VASP.

Quantum ESPRESSO input file:
```
&SYSTEM
  ibrav = 0, nat = 10, ntyp = 3
/
ATOMIC_SPECIES
Nb 92.91 Nb.upf
B 10.81 B.upf
Mo 95.94 Mo.upf
ATOMIC_POSITIONS crystal
Nb 0.679 0.179 0.500
Nb 0.321 0.821 0.500
Nb 0.179 0.321 0.500
Nb 0.821 0.679 0.500
B 0.108 0.608 0.000
B 0.892 0.392 0.000
B 0.608 0.892 0.000
B 0.392 0.108 0.000
Mo 0.000 0.000 0.000
Mo 0.500 0.500 0.000
CELL_PARAMETERS angstrom
-2.423 5.046 -2.489
-5.381 -2.869 -0.578
-0.882 1.052 2.991
```

Values from the calculation:
calculated formation energy	-0.677	eV per atom
E_tot	-187.24	eV/cell


This record from Materials Project describes crystalline NbB4Mo3 at its relaxed geometry. The functional is r²SCAN. Values from VASP.

Quantum ESPRESSO input file:
```
&SYSTEM
  ibrav = 0, nat = 8, ntyp = 3
/
ATOMIC_SPECIES
Nb 92.91 Nb.upf
B 10.81 B.upf
Mo 95.94 Mo.upf
ATOMIC_POSITIONS crystal
Nb 0.853 0.147 0.000
B 0.560 0.440 0.000
B 0.560 0.440 0.500
B 0.442 0.558 0.253
B 0.442 0.558 0.747
Mo 0.856 0.144 0.500
Mo 0.144 0.856 0.254
Mo 0.144 0.856 0.746
CELL_PARAMETERS angstrom
-4.352 1.397 0.088
2.989 -2.171 2.693
1.793 5.436 2.393
```

Values from the calculation:
calculated formation energy	-0.586	eV per atom
E_tot	-137.02	eV/cell


This record from Materials Project describes crystalline NiB2Mo2 at its relaxed geometry. The functional is r²SCAN. Values from VASP.

Quantum ESPRESSO input file:
```
&SYSTEM
  ibrav = 0, nat = 5, ntyp = 3
/
ATOMIC_SPECIES
Ni 58.69 Ni.upf
B 10.81 B.upf
Mo 95.94 Mo.upf
ATOMIC_POSITIONS crystal
Ni 0.000 0.000 0.000
B 0.703 0.500 0.203
B 0.297 0.500 0.797
Mo 0.699 0.199 0.500
Mo 0.301 0.801 0.500
CELL_PARAMETERS angstrom
-0.071 -4.184 1.644
3.136 0.054 3.222
-3.883 2.053 -0.963
```

Values from the calculation:
calculated formation energy	-0.502	eV per atom
E_tot	-81.33	eV/cell


This record from Materials Project describes crystalline B2MoPb6O12 at its relaxed geometry. The functional is r²SCAN. Values from VASP.

Quantum ESPRESSO input file:
```
&SYSTEM
  ibrav = 0, nat = 42, ntyp = 4
/
ATOMIC_SPECIES
B 10.81 B.upf
********
-- Response --
This record from Materials Project describes crystalline BMo2 at its relaxed geometry. The functional is r²SCAN. Values from VASP.

Quantum ESPRESSO input file:
```
&SYSTEM
  ibrav = 0, nat = 6, ntyp = 2
/
ATOMIC_SPECIES
B 10.81 B.upf
Mo 95.94 Mo.upf
ATOMIC_POSITIONS crystal
B 0.750 0.750 0.000
B 0.250 0.250 0.000
Mo 0.830 0.670 0.500
Mo 0.330 0.830 0.160
Mo 0.170 0.330 0.500
Mo 0.670 0.170 0.840
CELL_PARAMETERS angstrom
4.417 0.004 -1.228
-2.550 3.606 -1.228
-0.002 -0.004 4.584
```

Values from the calculation:
calculated formation energy	-0.322	eV per atom
E_tot	-120.91	eV/cell


This record from Materials Project describes crystalline BMo at its relaxed geometry. The functional is r²SCAN. Values from VASP.

Quantum ESPRESSO input file:
```
&SYSTEM
  ibrav = 0, nat = 8, ntyp = 2
/
ATOMIC_SPECIES
B 10.81 B.upf
Mo 95.94 Mo.upf
ATOMIC_POSITIONS crystal
B 0.470 0.720 0.439
B 0.220 0.970 0.939
B 0.530 0.280 0.561
B 0.780 0.030 0.061
Mo 0.322 0.572 0.144
Mo 0.072 0.822 0.644
Mo 0.678 0.428 0.856
Mo 0.928 0.178 0.356
CELL_PARAMETERS angstrom
3.067 0.000 -0.554
-0.100 3.065 -0.554
0.000 0.000 8.776
```

Values from the calculation:
E above lowest polymorph	0	meV/atom
calculated formation energy	-0.524	eV per atom
E_tot	-137.87	eV/cell


This record from Materials Project describes crystalline BMo at its relaxed geometry. The functional is r²SCAN. Values from VASP.

Quantum ESPRESSO input file:
```
&SYSTEM
  ibrav = 0, nat = 4, ntyp = 2
/
ATOMIC_SPECIES
B 10.81 B.upf
Mo 95.94 Mo.upf
ATOMIC_POSITIONS crystal
B 0.250 0.440 0.881
B 0.750 0.560 0.119
Mo 0.250 0.145 0.289
Mo 0.750 0.855 0.711
CELL_PARAMETERS angstrom
0.000 0.000 3.083
3.146 0.000 0.000
-1.573 4.253 0.000
```

Values from the calculation:
E above lowest polymorph	11	meV/atom
calculated formation energy	-0.513	eV per atom
E_tot	-68.89	eV/cell


This record from Materials Project describes crystalline Nb2B2Mo at its relaxed geometry. The functional is r²SCAN. Values from VASP.

Quantum ESPRESSO input file:
```
&SYSTEM
  ibrav = 0, nat = 10, ntyp = 3
/
ATOMIC_SPECIES
Nb 92.91 Nb.upf
B 10.81 B.upf
Mo 95.94 Mo.upf
ATOMIC_POSITIONS crystal
Nb 0.679 0.179 0.500
Nb 0.321 0.821 0.500
Nb 0.179 0.321 0.500
Nb 0.821 0.679 0.500
B 0.108 0.608 0.000
B 0.892 0.392 0.000
B 0.608 0.892 0.000
B 0.392 0.108 0.000
Mo 0.000 0.000 0.000
Mo 0.500 0.500 0.000
CELL_PARAMETERS angstrom
-2.423 5.046 -2.489
-5.381 -2.869 -0.578
-0.882 1.052 2.991
```

Values from the calculation:
calculated formation energy	-0.677	eV per atom
E_tot	-187.24	eV/cell


This record from Materials Project describes crystalline NbB4Mo3 at its relaxed geometry. The functional is r²SCAN. Values from VASP.

Quantum ESPRESSO input file:
```
&SYSTEM
  ibrav = 0, nat = 8, ntyp = 3
/
ATOMIC_SPECIES
Nb 92.91 Nb.upf
B 10.81 B.upf
Mo 95.94 Mo.upf
ATOMIC_POSITIONS crystal
Nb 0.853 0.147 0.000
B 0.560 0.440 0.000
B 0.560 0.440 0.500
B 0.442 0.558 0.253
B 0.442 0.558 0.747
Mo 0.856 0.144 0.500
Mo 0.144 0.856 0.254
Mo 0.144 0.856 0.746
CELL_PARAMETERS angstrom
-4.352 1.397 0.088
2.989 -2.171 2.693
1.793 5.436 2.393
```

Values from the calculation:
calculated formation energy	-0.586	eV per atom
E_tot	-137.02	eV/cell


This record from Materials Project describes crystalline NiB2Mo2 at its relaxed geometry. The functional is r²SCAN. Values from VASP.

Quantum ESPRESSO input file:
```
&SYSTEM
  ibrav = 0, nat = 5, ntyp = 3
/
ATOMIC_SPECIES
Ni 58.69 Ni.upf
B 10.81 B.upf
Mo 95.94 Mo.upf
ATOMIC_POSITIONS crystal
Ni 0.000 0.000 0.000
B 0.703 0.500 0.203
B 0.297 0.500 0.797
Mo 0.699 0.199 0.500
Mo 0.301 0.801 0.500
CELL_PARAMETERS angstrom
-0.071 -4.184 1.644
3.136 0.054 3.222
-3.883 2.053 -0.963
```

Values from the calculation:
calculated formation energy	-0.502	eV per atom
E_tot	-81.33	eV/cell


This record from Materials Project describes crystalline B2MoPb6O12 at its relaxed geometry. The functional is r²SCAN. Values from VASP.

Quantum ESPRESSO input file:
```
&SYSTEM
  ibrav = 0, nat = 42, ntyp = 4
/
ATOMIC_SPECIES
B 10.81 B.upf